Rice industrial and organizational psychologists available to discuss tech layoffs

Photo of laid of employees.

In recent months, the tech world has laid off tens of thousands of people , news that has made headlines around the globe. Rice University industrial and organizational psychologists are available to discuss the situation.

Rice psychologist Eden King is available to discuss how employers can soften this blow — if not avoid layoffs altogether.

“First, consider — and communicate about — all alternative options for saving costs, such as forgoing board member compensation, offering reduced work hours or operational changes,” she said, adding that employers should also give employees a chance to provide additional ideas and suggestions.

Photo of laid off individuals.
Photo credit: 123rf.com

“Second, be transparent about how and when layoff decisions will be determined and conveyed so that employees can understand and prepare,” she said.

“Third, provide clear, direct and compassionate information to employees who are and who are not being laid off,” she added, noting that ambiguity and uncertainty will only worsen and prolong stress.

“Finally, employers should follow up immediately with tangible resources such as continuation of health benefits, severance (pay) and placement services,” she said.

King is the Lynette S. Autrey Professor of Psychology at Rice. She studies the equitable and effective management of diverse organizations and has more than 100 scholarly publications to date. Her research has been featured in the New York Times, on “Good Morning America” and in Harvard Business Review. She has also consulted on projects related to climate initiatives, selection systems and diversity training programs. More information on King is available online at https://profiles.rice.edu/faculty/eden-king.

Rice psychologist Margaret Beier said corporate layoffs are stressful for all employees but can hit older workers particularly hard.

# What comes next are calculated crystals, not part of the article
[1]
Starting from DFT lattice parameters and positions (GGA-PBE), the powder diffraction line list of Ho3Er2In was simulated for Cu Kα, 1.54184 Å.
Peak positions follow from Bragg's law for the DFT cell and can differ from measured ones.

Peak list (10 most intense, 2θ = 10–90°, sorted by position)
2θ/deg, Rel. int.
31.8, 100
36.1, 18
37.1, 16
37.3, 16
52.8, 24
53.6, 11
62.2, 14
63.6, 14
63.8, 14
66.4, 12

Atomic structure:
a = 4.8434 Å, b = 14.9225 Å, c = 4.8269 Å
α = 90.00°, β = 90.00°, γ = 90.00°
Space group Cmmm (No. 65)
Asymmetric unit:
Ho (0.0000, 0.0000, 0.0000) [2 per cell]
Ho (0.0000, 0.3315, 0.0000) [4 per cell]
Er (0.0000, 0.1625, 0.5000) [4 per cell]
In (0.0000, 0.5000, 0.5000) [2 per cell]

[2]
Starting from DFT lattice parameters and positions (GGA-PBE), the powder diffraction line list of Ho2Er3In2 was simulated for Cu Kα, 1.54184 Å.
Peak positions follow from Bragg's law for the DFT cell and can differ from measured ones.

Peak list (10 most intense, 2θ = 10–90°, sorted by position)
2θ/deg, Rel. int.
32.7, 100
33.6, 100
47.5, 35
57.7, 16
59.4, 36
60.0, 19
68.4, 9
70.6, 12
78.4, 13
79.9, 15

Atomic structure:
a = 5.3395 Å, b = 5.3395 Å, c = 23.8293 Å
α = 90.00°, β = 90.00°, γ = 120.00°
Space group R-3m (No. 166, hexagonal axes)
Asymmetric unit:
Ho (0.0000, 0.0000, 0.0753) [6 per cell]
Er (0.0000, 0.0000, 0.3472) [6 per cell]
Er (0.0000, 0.0000, 0.5000) [3 per cell]
In (0.0000, 0.0000, 0.2165) [6 per cell]


The following is a computed powder X-ray diffraction pattern of PrCd2SbO6. It was derived from a crystal structure in Alexandria, relaxed with PBE, using Cu Kα (weighted mean of Kα1 and Kα2).
Kinematic intensities with the Lorentz-polarization factor, no thermal factor.

Main lines, in order of rising 2θ (2θ = 15–90°):
Position (°2θ)  I/Imax  hkl
21.4  15.6  0 1 2
29.6  100.0  1 0 4
31.1  90.7  1 1 0
43.5  40.7  0 2 4
47.9  24.4  2 -1 6
51.6  12.9  0 1 8
54.5  38.7  3 -1 4
55.4  26.1  3 0 0
64.9  11.5  2 2 0
73.0  14.1  1 3 4

Structure:
a b c (Å): 5.7450 5.7450 15.1666
angles (deg): 90.00 90.00 120.00
Space group R3 (No. 146, hexagonal axes)
Inequivalent atoms, fractional coordinates:
Pr: 0.0000 0.0000 0.0000 [3 per cell]
Cd: 0.0000 0.0000 0.2716 [3 per cell]
Cd: 0.0000 0.0000 0.7807 [3 per cell]
Sb: 0.0000 0.0000 0.4903 [3 per cell]
O: 0.0164 0.3868 0.2267 [9 per cell]
O: 0.0639 0.6779 0.0722 [9 per cell]

=====

The following is a computed powder X-ray diffraction pattern of Pr2ZnCdO5. It was derived from a crystal structure in Alexandria, relaxed with PBE, using Cu Kα (weighted mean of Kα1 and Kα2).
Kinematic intensities with the Lorentz-polarization factor, no thermal factor.

Main lines, in order of rising 2θ (2θ = 15–90°):
Position (°2θ)  I/Imax  hkl
29.5  17.5  2 1 0
30.6  100.0  0 0 2
33.4  47.3  2 1 1
37.6  16.4  2 2 0
42.3  14.3  3 1 0
43.0  34.2  2 1 2
49.2  14.0  2 2 2
54.3  14.2  2 0 3
56.1  15.0  4 1 0
58.5  11.3  4 1 1

Structure:
a b c (Å): 6.761 6.761 5.846
angles (deg): 90.00 90.00 90.00

“Even though older workers have plenty to offer organizations, it becomes increasingly difficult for laid-off workers to find new jobs after the age of 50,” she said.

Beier said that some of this difficulty stems from age-related stereotypes.

These materials data were left in the page by mistake
+++
Entry 1:
Computed X-ray powder pattern of GaCo4Ge3 for Cu Kα, from the GGA-PBE geometry in Alexandria.
Neutral-atom scattering factors, no anomalous dispersion.

Peak list (6 most intense, 2θ = 10–90°, in order of falling intensity)
2θ (°), d (Å), I_rel, hkl
43.48, 2.081, 100, 2 -1 3
43.85, 2.065, 89, 2 1 1
48.16, 1.889, 48, 1 2 2
48.33, 1.883, 27, 3 0 0
47.66, 1.908, 24, 1 0 4
33.60, 2.667, 22, 0 2 1

Structural model:
Unit cell a=6.5232 b=6.5232 c=8.1093 alpha=90.00 beta=90.00 gamma=120.00
Space group R3 (No. 146, hexagonal axes)
Unique sites:
Ga  0.0000  0.0000  0.0000 x3
Co  0.0000  0.0000  0.3007 x3
Co  0.0128  0.2573  0.7778 x9
Ge  0.1025  0.7139  0.2125 x9

---

Entry 2:
Computed X-ray powder pattern of Ga3Co4Ge for Cu Kα, from the GGA-PBE geometry in Alexandria.
Neutral-atom scattering factors, no anomalous dispersion.

Peak list (6 most intense, 2θ = 10–90°, in order of falling intensity)
2θ (°), d (Å), I_rel, hkl
43.39, 2.085, 100, 2 1 1
43.79, 2.067, 91, 2 -1 3
47.91, 1.899, 51, 3 -2 2
48.46, 1.878, 25, 1 0 4
47.72, 1.906, 24, 3 0 0
38.79, 2.321, 21, 2 0 2

Structural model:
Unit cell a=6.6016 b=6.6016 c=7.9552 alpha=90.00 beta=90.00 gamma=120.00
Space group R3 (No. 146, hexagonal axes)
Unique sites:
Ga  0.1088  0.7094  0.0000 x9
Co  0.0000  0.0000  0.0837 x3
Co  0.0231  0.2621  0.5698 x9
Ge  0.0000  0.0000  0.7880 x3

---

Entry 3:
Computed X-ray powder pattern of Ga2Co8Ge3 for Cu Kα, from the GGA-PBE geometry in Alexandria.
Neutral-atom scattering factors, no anomalous dispersion.

Peak list (6 most intense, 2θ = 10–90°, in order of falling intensity)
2θ (°), d (Å), I_rel, hkl
43.62, 2.075, 100, 0 1 11
44.38, 2.041, 69, 2 0 2
37.71, 2.385, 57, 1 1 0
47.25, 1.924, 45, 2 0 5
72.17, 1.309, 41, 1 2 11
43.14, 2.097, 31, 1 1 6

Structural model:
Unit cell a=4.7709 b=4.7709 c=26.3968 alpha=90.00 beta=90.00 gamma=120.00
Space group R-3m (No. 166, hexagonal axes)
Unique sites:
Ga  0.0000  0.0000  0.1354 x6
Co  0.0000  0.0000  0.2261 x6
Co  0.0005  0.5003  0.7245 x18
Ge  0.0000  0.0000  0.3130 x6
Ge  0.0000  0.0000  0.5000 x3

---

Entry 4:
Computed X-ray powder pattern of GaCo3Ge3 for Cu Kα, from the GGA-PBE geometry in Alexandria.
Neutral-atom scattering factors, no anomalous dispersion.

Peak list (6 most intense, 2θ = 10–90°, in order of falling intensity)
2θ (°), d (Å), I_rel, hkl
44.26, 2.046, 100, 2 2 0
44.84, 2.022, 96, 2 0 2
81.87, 1.177, 31, 4 2 2
64.83, 1.438, 30, 0 4 2
81.46, 1.181, 15, 6 0 0
83.08, 1.162, 15, 0 2 4

Structural model:
Unit cell a=8.1855 b=8.1855 c=4.9221 alpha=90.00 beta=90.00 gamma=120.00
Space group R-3m (No. 166, hexagonal axes)
Unique sites:
Ga  0.0000  0.0000  0.0000 x3
Co  0.0000  0.5000  0.5000 x9
Ge  0.0000  0.5000  0.0000 x9

---

Entry 5:
Computed X-ray powder pattern of Ga2Co3Ge for Cu Kα, from the GGA-PBE geometry in Alexandria.
Neutral-atom scattering factors, no anomalous dispersion.

Peak list (6 most intense, 2θ = 10–90°, in order of falling intensity)
2θ (°), d (Å), I_rel, hkl
+++
Here the page continues

“For example, organizations tend to think that older workers are expensive, that they are unwilling and unable to learn new roles, and that an investment in them may not pay off given the limited remaining time before retirement,” she said. “But most stereotypes concerning older workers are not supported by research. In fact, once hired, older workers tend to stay longer at organizations compared with younger workers. Moreover, older workers can bring many skills from previous jobs that can generalize to new roles — e.g., managing customers and people, managing projects — and, even though they may have lower self-efficacy for learning new things compared with younger employees, they can and do continue to learn up until - and beyond - retirement.”

Beier noted that technology is rapidly changing the types of jobs that are available and the tasks that workers perform every day, and because most older workers in the U.S. have not saved enough for retirement, they must participate in training to acquire the skills they need to remain employed and employable.

“Older learners may need more time in training relative to younger workers, but they will respond well to well-designed training — e.g., training adapted to their existing skills and abilities,” she said.

Beier is a professor of psychological sciences. She studies lifelong learning and development and predicting success for adults in organizations and educational settings. She has authored more than 100 journal articles and book chapters and is a fellow of the Society for Industrial and Organizational Psychology and the Association for Psychological Science. More information on Beier is available online at http://beier.rice.edu/.

For more information or to schedule an interview with King or Beier, contact Amy McCaig, senior media relations specialist at Rice, at 713-348-6777 or amym@rice.edu.
